Men like Tony Abbott, women don’t — but there’s one thing both sexes can agree on. They rather like Joe Hockey.

As Tony Abbott faces his first day in Parliament as Prime Minister today, his old friend — the disapproval monkey — is on his back once more. Abbott has long struggled against relatively high net disapproval ratings. According to ongoing polling by Essential Research, he was in net negative approval territory for much of this year, but managed to post a positive result two weeks after the September election. He followed this up with a good October, scoring a net positive rating of +11 points.

Now he’s heading backwards. The latest Essential poll, taken from Thursday to Sunday, found 45% approved while 40% disapproved, a net approval of +5 points.

His problem is not with men, where his net approval is +12 points. It’s among women; his approval rating is -3 points, and that’s getting worse.

This is an unusually stark difference between the sexes on a political questions and indicates Abbott, despite his promise of more generous parental leave, is failing to appeal to women.

• These records of molecules were left in the entry by mistake:
____________
127
Properties=species:S:1:pos:R:3:lowdin_charge:R:1 method="wB97M-V/def2-TZVPD" largest_force_ev_per_a=2.48 e_homo_ev=-10.00 total_charge=+1 homo_lumo_gap_ev=6.996
C 1.496 5.589 -0.421 -0.085
H 3.731 -1.741 -3.648 0.079
C 2.458 -4.446 0.546 -0.165
C -1.615 -3.178 0.759 -0.399
H -2.620 -6.698 -0.435 0.111
H 2.229 1.926 4.842 0.132
C -3.285 -5.099 0.861 -0.179
H -0.788 -3.211 3.229 0.083
H -1.809 2.728 -1.961 0.039
C -0.569 -1.011 -2.674 -0.319
P -1.388 -1.366 1.120 1.067
N 2.372 4.434 -0.183 -0.063
H 1.011 1.183 -3.896 0.091
C 1.050 -2.618 -3.472 -0.106
H 4.691 -0.308 -3.949 0.129
H -1.502 1.875 -3.488 0.044
H -6.282 -0.578 0.625 0.113
C -4.179 -0.888 0.860 -0.089
H 3.083 -1.713 0.311 0.065
C -5.156 0.349 -0.951 -0.056
P 1.885 -0.829 -1.448 1.049
H -2.491 -1.110 -3.634 0.110
C 3.378 -0.215 6.061 -0.152
H -3.672 -5.808 1.594 0.114
C 4.106 -2.833 -1.180 -0.168
C -2.897 -0.653 0.361 -0.368
C -0.897 -2.287 5.170 -0.175
C 0.708 -1.559 -2.628 -0.390
N -0.870 1.479 1.371 -0.142
H -0.045 -2.726 5.693 0.112
H -2.232 -4.264 2.536 0.104
O 3.147 6.431 -1.978 -0.113
C -5.300 -0.390 0.212 -0.053
C 1.831 1.059 2.929 -0.124
S -3.226 2.580 2.354 0.612
H 4.153 5.409 0.302 0.137
H 4.499 -5.155 0.360 0.111
C 1.770 6.140 -1.811 -0.174
H 1.722 6.354 0.324 0.137
H 2.332 1.931 -1.918 0.041
C -2.499 -0.359 5.084 -0.168
C -2.680 -3.899 1.612 -0.174
H -6.025 0.746 -1.460 0.111
H 1.700 -5.185 0.810 0.108
C 3.179 0.035 -2.487 -0.377
H -3.299 -1.872 3.749 0.111
C 1.789 -3.318 -0.241 -0.241
H 1.446 5.413 -2.569 0.127
C 1.966 1.699 -4.026 -0.200
H 1.757 2.762 -4.170 0.111
H 4.485 -2.284 -2.037 0.076
C 2.294 -1.148 2.638 -0.144
C 2.791 -1.263 3.924 0.007
H 3.647 1.606 -5.369 0.119
H -1.372 -6.038 0.612 0.111
C 3.668 -0.661 -3.777 -0.183
C 2.670 1.126 -5.248 -0.188
C -2.760 -0.923 3.674 -0.203
H -2.472 0.731 5.037 0.101
C 2.281 1.034 4.234 0.016
H -0.763 -5.049 -1.435 0.101
H -0.354 -0.228 5.454 0.100
H 0.454 5.288 -0.318 0.139
H -0.155 2.501 -2.530 -0.004
H 1.232 7.074 -1.956 0.136
H -1.281 -0.904 6.786 0.113
C -1.138 2.033 -2.470 -0.181
H 3.343 -6.131 -0.530 0.110
Si -1.057 0.410 -1.523 0.507
C -0.596 -2.231 3.664 -0.186
H -3.379 -0.213 3.132 0.059
H 0.401 -3.948 -5.017 0.114
H 1.431 1.972 2.513 0.083
H 0.977 -2.871 0.335 0.053
H 2.854 -4.049 1.486 0.101
C -2.752 0.067 -0.820 -0.308
H -3.772 1.149 -2.371 0.101
H -1.880 -2.978 -5.123 0.112
H -1.758 -2.932 5.364 0.118
C 2.798 -2.224 -0.611 -0.409
H 4.874 -2.767 -0.404 0.123
H -3.340 -0.636 5.722 0.116
C -1.867 1.947 1.783 -0.939
H 4.359 3.761 -0.336 0.135
H 3.159 -4.449 -2.279 0.098
C -1.916 -3.352 -0.732 -0.201
C -1.421 -1.128 2.962 -0.400
N 3.835 -0.294 7.110 0.195
H 4.978 5.583 -1.999 0.136
H -2.927 -2.990 -0.932 0.123
Ir 0.399 0.216 0.365 0.798
C -3.885 0.575 -1.457 -0.081
H -0.879 -0.187 3.073 0.070
C 2.846 -0.371 -5.035 -0.185
C -1.493 -1.535 -3.584 -0.081
C 2.815 -0.144 4.742 -0.203
C 2.832 1.509 -2.780 -0.210
C -1.794 -4.826 -1.144 -0.172
H 1.336 -3.738 -1.141 0.098
C -1.155 -2.586 -4.420 -0.054
____________

Women are more prone to approve of new ALP leader Bill Shorten (net approval of him is +6 points among women, and +1% among men). However, many people have not made their minds up on the new Labor leader; 43% of respondents said “don’t know” to that question.

When the two leaders are compared, Abbott is easily ahead 42% to 27% as preferred prime minister. The legacy of Labor’s new leadership selection process — which gave members a say, although it wasn’t a very loud one (members preferred Anthony Albanese as leader) — could be impacting on polling results. Over a third of Labor voters responded “don’t know” when asked for their preferred prime minister. On the other side, Coalition voters lined up strongly behind Abbott.

But would they line up even more strongly behind Treasurer Joe Hockey one day? The Treasurer is polling well, with a net approval rate of +17% (that’s 45% approval to 28% disapproval). Men like him and women like him. His numbers are better than Abbott’s and Shorten’s. Food for thought if Abbott struggles in Parliament?

**Misplaced molecular data:**
[1]
C13H21N | ωB97M-V with the def2-TZVPD basis set

As for the spin multiplicity: 1. The SMILES is CC1(C)[C@H]2CC[C@H](C2)[C@@H]1CCCC#N. For the LUMO energy, the calculation gives 0.72 eV.

Atoms and positions in Å:
N  3.3453  -2.0047  2.8093
C  3.5364  -1.4214  1.7812
C  -0.2656  2.3241  -0.0153
C  0.0238  0.5598  1.8574
C  3.6890  -1.1129  0.2802
C  2.5059  -0.2858  -0.2739
C  -2.3449  -0.1611  -1.9299
C  -2.8147  0.8469  -0.9130
C  -1.8883  -0.9791  0.2700
C  1.2143  -1.0629  -0.2524
C  -1.1936  -0.9657  -1.1022
C  -2.0842  0.5032  0.3738
C  0.0542  -0.1533  -0.6910
C  -0.5253  0.8344  0.4216
H  -0.4615  2.4275  -1.0546
H  -0.9093  3.0034  0.6540
H  0.7598  2.5174  0.3014
H  0.1011  -0.4364  2.2459
H  0.9455  1.0805  1.9216
H  -0.4517  1.1974  2.5942
H  4.6126  -0.5444  0.0924
H  3.8956  -2.0979  -0.3672
H  2.7205  0.0063  -1.3679
H  2.3989  0.6833  0.2040
H  -1.9277  0.2687  -2.8749
H  -3.2162  -0.8098  -2.1559
H  -3.9291  0.7046  -0.6853
H  -2.7006  1.8548  -1.3017
H  -1.3502  -1.4042  1.1710
H  -2.8465  -1.6148  0.2038
H  1.3063  -1.8661  -0.9312
H  1.0037  -1.5066  0.7618
H  -0.9040  -1.8120  -1.6901
H  -2.6840  0.9347  1.1426
H  0.3847  0.4924  -1.4798

Force components x, y, z for each atom (eV/Å):
N 0.85 2.99 -4.17
C -0.66 -3.25 1.96
C -0.62 -0.83 3.40
C -0.55 1.84 -0.70
C 0.75 -0.63 -0.39
C 0.70 -0.16 -1.50
C 1.55 -0.94 -0.18
C -1.52 0.40 0.03
C -2.26 -3.49 0.78
C -0.98 1.01 1.31
C -0.99 1.41 -0.17
C 1.48 0.25 -0.48
C -0.89 0.31 0.61
C -0.93 0.62 -0.26
H -0.03 0.47 -0.75
H 0.73 -0.78 -1.27
H 0.19 0.43 -0.65
H -0.02 -0.39 -0.10
H 1.71 -0.23 -0.16
H -1.11 -0.17 0.16
H -0.19 -0.10 0.52
H -0.89 1.83 1.83
H -0.08 -0.63 1.47
H 0.16 -0.04 0.50
H -0.43 -0.30 0.71
H 0.94 -0.09 -0.21
H 1.40 0.30 -0.43
H 0.06 0.32 0.38
H -0.29 0.40 -1.34
H 1.03 1.04 0.15
H 0.03 -1.11 -0.83
H 0.32 0.41 -0.99
H -0.07 -1.06 0.29
H 0.14 -0.03 1.30
H 0.45 0.19 -0.80


[2]
C2H4N2O | ωB97M-V with the def2-TZVPD basis set

As for the spin multiplicity: 1. The SMILES is COC1N=N1. For the LUMO energy, the calculation gives 0.56 eV.

Atoms and positions in Å:
C  -0.6279  -0.8640  0.0571
C  0.8999  0.8871  -0.2322
N  -2.0582  -0.7051  0.2153
N  -1.6821  -1.7058  -0.3537
O  0.1889  -0.1334  -0.8331
H  -0.0491  -1.0046  1.1555
H  0.9539  0.7404  0.8242
H  0.4688  1.8327  -0.2287
H  1.9056  0.9529  -0.6043

Force components x, y, z for each atom (eV/Å):
C 3.03 1.09 3.70
C 0.95 -0.43 1.13
N -0.46 1.78 0.13
N 0.42 -1.81 -1.12
O -2.02 -1.54 -0.32
H -1.48 -0.11 -3.18
H 0.46 -0.64 1.06
H -1.26 1.82 -0.95
H 0.35 -0.16 -0.45


It is found that the orbital gap values, taken in the order of the records, are 10.7 10.4 eV.
It is found that the ΔE to the lowest compared entry with this formula, charge and spin values, taken in the order of the records, are 1.7 80.8 kcal/mol.
It is found that the max |F| values, taken in the order of the records, are 0.10118 0.09536 Eh/bohr.

Do you approve or disapprove of the job Joe Hockey is doing as Treasurer?

The online Essential poll of just over 1000 people found Labor’s way out of the carbon-pricing obstacle course is playing fairly well. The ALP has decided to only vote for the repeal of the carbon tax if it were replaced by an emissions trading scheme (the Coalition wants to repeal the carbon tax and replace it with a grants scheme). While some Tory commentators are agitating for Labor to simply vote to scrap the tax, Labor’s approach has won 48% approval in general (26% disapprove), with voters from each party giving it a net positive approval rating. Those numbers would encourage Shorten to stick to his guns on the carbon tax.

As for Coalition policy, voters are reasonably happy with plans to dump the mining tax and the increased tax on super earnings from those with more money in the bank. They also don’t mind the plan to scrap Labor’s cap on self-education expenses. But there’s one change voters don’t like at all — dumping the government subsidy for people with lower super contributions. A whopping 59% disapprove of that move (just one in four voters thought it was a good idea).

There was little change in voting intention this week. The Coalition remains ahead on the two-party-preferred by 53-47% (that’s pretty similar to the election result), while the primary vote hovers at 44% for the Coalition, 35% Labor and 9% Greens. So while voters aren’t going mad for Abbott, that’s not putting them off the Coalition.